My First AIHce EXP
Seattle marked my first AIHce EXP conference since I joined AIHA last fall. I had been hearing so much about this hallmark event, and I will tell you that I’m just glad it didn’t fall on my first month on the job! In all seriousness, I had the pleasure of connecting with literally thousands of new folks who clearly are passionate and dedicated to the profession.
Our attendee base spanned four generations, with early-career professionals clearly embracing the format and flow of the conference, but, unfortunately, conference veterans displeased with some of the changes. As a result, we realize the challenge facing us as we adjust program elements for 2018. After all, we are striving to appeal to all facets of the membership.
At the end of the day, here are some takeaways I am pleased to report:
- Our total number of unique registrants was about on par with last year. However, if one looks at our total number of paid registrants (that is, accounting for individuals who purchased multiple PDCs), we are well above last year by 12 percent.
- Almost one-quarter of all new conference registrants were obtained through new marketing efforts.
- Nearly all our PDCs were sold out, reinforcing our belief that we are offering valuable courses important to you in your daily work.
The article is interrupted by calculated crystals:
<<<
Record 1
{
  "formula": "TlTe3Mo3",
  "functional": "PBE",
  "state": "relaxed",
  "e_above_lowest_polymorph_kj_per_mol_fu": 0,
  "space_group": "P6_3/m",
  "cell": [[9.7387, 0.0000, 0.0000], [-4.8694, 8.4340, 0.0000], [0.0000, 0.0000, 4.6201]],
  "species": ["Tl", "Tl", "Te", "Te", "Te", "Te", "Te", "Te", "Mo", "Mo", "Mo", "Mo", "Mo", "Mo"],
  "frac_coords": [[0.3333, 0.6667, 0.2500], [0.6667, 0.3333, 0.7500], [0.0568, 0.3613, 0.7500], [0.3045, 0.9432, 0.7500], [0.3613, 0.3045, 0.2500], [0.6387, 0.6955, 0.7500], [0.6955, 0.0568, 0.2500], [0.9432, 0.6387, 0.2500], [0.0266, 0.1697, 0.2500], [0.1430, 0.9734, 0.2500], [0.1697, 0.1430, 0.7500], [0.8303, 0.8570, 0.2500], [0.8570, 0.0266, 0.7500], [0.9734, 0.8303, 0.7500]]
}


Record 2
{
  "formula": "LiHfMg14O15",
  "functional": "PBE",
  "state": "relaxed",
  "e_above_lowest_polymorph_kj_per_mol_fu": 62,
  "space_group": "Pmm2",
  "cell": [[4.2871, 0.0000, 0.0000], [0.0000, 8.6343, 0.0000], [0.0000, 0.0000, 8.6251]],
  "species": ["Li", "Hf", "Mg", "Mg", "Mg", "Mg", "Mg", "Mg", "Mg", "Mg", "Mg", "Mg", "Mg", "Mg", "Mg", "Mg", "O", "O", "O", "O", "O", "O", "O", "O", "O", "O", "O", "O", "O", "O", "O"],
  "frac_coords": [[0.0000, 0.0000, 0.0000], [0.0000, 0.5000, 0.4917], [0.0000, 0.0000, 0.4917], [0.0000, 0.2393, 0.2317], [0.0000, 0.2407, 0.7531], [0.0000, 0.5000, 0.9927], [0.0000, 0.7593, 0.7531], [0.0000, 0.7607, 0.2317], [0.5000, 0.0000, 0.2343], [0.5000, 0.0000, 0.7504], [0.5000, 0.2395, 0.4921], [0.5000, 0.2415, 0.9921], [0.5000, 0.5000, 0.2313], [0.5000, 0.5000, 0.7530], [0.5000, 0.7585, 0.9921], [0.5000, 0.7605, 0.4921], [0.0000, 0.0000, 0.2499], [0.0000, 0.2503, 0.4897], [0.0000, 0.2592, 0.9927], [0.0000, 0.5000, 0.2426], [0.0000, 0.5000, 0.7411], [0.0000, 0.7408, 0.9927], [0.0000, 0.7497, 0.4897], [0.5000, 0.0000, 0.4891], [0.5000, 0.0000, 0.9923], [0.5000, 0.2509, 0.2428], [0.5000, 0.2532, 0.7408], [0.5000, 0.5000, 0.4915], [0.5000, 0.5000, 0.9923], [0.5000, 0.7468, 0.7408], [0.5000, 0.7491, 0.2428]]
}


Record 3
{
  "formula": "Y8Co5",
  "functional": "PBE",
  "state": "relaxed",
  "space_group": "P2_1/c",
  "cell": [[7.0400, 0.0000, 0.0000], [0.0000, 7.1849, 0.0000], [-5.1272, 0.0000, 23.5884]],
  "species": ["Y", "Y", "Y", "Y", "Y", "Y", "Y", "Y", "Y", "Y", "Y", "Y", "Y", "Y", "Y", "Y", "Y", "Y", "Y", "Y", "Y", "Y", "Y", "Y", "Y", "Y", "Y", "Y", "Y", "Y", "Y", "Y", "Co", "Co", "Co", "Co", "Co", "Co", "Co", "Co", "Co", "Co", "Co", "Co", "Co", "Co", "Co", "Co", "Co", "Co", "Co", "Co"],
>>>
End of the calculated crystals:
- We continue to attract a strong showing by exhibitors, who reported brisk traffic on the show floor.
- 95 student posters were submitted, compared to 40 last year. The review and selection of student poster awards by technical committees was conducted online in the days leading up to AIHce, making for a much smoother process.
- In terms of social media engagement (Facebook, LinkedIn, Twitter), we saw a whopping 370 percent increase in social media engagement before and during conference, and a 530 percent increase post-conference.
In the end, it is what you told us in the evaluations immediately following AIHce EXP 2017 that really counts:
- “The events I went to had some key points from which to learn. These were more cutting edge and something you wouldn't find easily from another source. For example the information on allergen sampling is not generally available.”
- “Several of the presentations were enlightening and provided a potential path for more engagement in the IH field (banding, EPA OELs).”
- “AIHce is always a great place to see colleagues you haven't seen in a long time and to meet new and interesting people.”
- “The best part of AIHce is the contact with other industrial hygienists from different employers, with different expertise and different tenures in the field.”
As I noted above, not all the feedback we received was favorable. There was quite a bit of criticism from folks who felt the shortened program and uniformly formatted sessions didn’t afford them an opportunity to engage and learn like they have in the past.
Some things we plan to reassess next year pertain to how we promote the sessions (with clearer descriptions to help attendees gauge whether the content is appropriate for them). We will also re-examine the number of maximum credit hours available at the event, and how we might improve the social events at AIHce.
Four out of 5 of our attendees tell us they would promote AIHce EXP again in the future. Repeatedly, survey respondents affirm that word of mouth is the #1 reason they registered.
And for those of you who are veteran attendees, here’s a challenge for you: Tell us how your career has benefitted from attending AIHce. Your stories will help us attract a whole new cadre of professionals, and you’ll be giving back to the Association that’s helped you advance.
There are no submissions.